

Data records, as found in the file =
/*
No. 1
Below is an isolated ion of composition C5H10O2S and charge +1, with properties calculated with ωB97M-V/def2-TZVPD.

Last column: Löwdin charge in e.
Atoms and positions in Å:
O: -0.67391 -1.03891 -3.35572  0.1390
C: -1.11227 -0.17999 -2.64742  -0.5142
O: -1.51919 1.02411 -3.14477  0.0978
C: -1.28363 -0.21074 -1.14912  -0.0894
C: 0.03887 0.11015 -0.37354  -0.2137
C: -0.18755 -0.16650 1.09584  -0.4202
S: 0.61438 1.02635 2.21805  1.1812
C: 2.07510 0.03353 2.84257  -0.2318
H: -1.34832 1.08272 -4.10269  0.1407
H: -1.97618 0.60369 -0.91491  0.1290
H: -1.59094 -1.18529 -0.77856  0.1363
H: 0.49217 1.03869 -0.70314  0.1272
H: 0.64864 -0.75648 -0.68389  0.1337
H: -1.25308 0.07425 1.26707  0.1025
H: 0.13080 -1.14539 1.42322  0.0945
H: 2.25140 0.54862 3.78866  0.0502
H: 1.74898 -0.98539 3.02187  0.0615
H: 2.94475 0.12659 2.19647  0.0758

Summary:
E_tot = -744.8608 a.u.
2S+1 = 2
gap between HOMO and LUMO (alpha / beta) = 10.0 / 5.2 eV
total charge = +1
relative energy (zero: lowest compared OMol25 entry of this formula, charge and spin) = 42.5 kJ/mol
E_HOMO (alpha / beta) = -0.5030 / -0.5029 Eh
F_max = 3.00 eV/Å


No. 2
Below is a 2-piece molecular cluster, C4H8ClN overall, with properties calculated with ωB97M-V/def2-TZVPD.

Last column: Löwdin charge in e.
Atoms and positions in Å:
C: 0.48260 0.87902 0.53548  0.0115
C: 0.19946 -2.59315 0.84282  -0.2005
C: -0.04617 2.78921 -1.02825  -0.0815
C: -0.44582 -1.50387 0.08383  -0.6480
N: -0.11343 1.47421 -0.34290  -0.1029
Cl: -0.38719 -1.47803 -1.68111  0.5022
H: 1.05019 0.96939 1.39702  0.0343
H: 1.13760 -2.97051 0.43727  0.0717
H: -0.41988 -3.46051 0.90657  0.0551
H: 0.39693 -2.20398 1.84392  0.0694
H: 0.60994 3.50867 -0.50917  0.0796
H: -1.06964 3.13841 -0.74083  0.0902
H: 0.04445 2.42220 -2.01354  0.0634
H: -1.43904 -0.97107 0.26890  0.0556

Summary:
E_tot = -671.9712 a.u.
gap between HOMO and LUMO (alpha / beta) = 7.7 / 7.9 eV
relative energy (zero: lowest compared OMol25 entry of this formula, charge and spin) = 434.6 kJ/mol
E_HOMO (alpha / beta) = -0.2537 / -0.2672 Eh
F_max = 4.16 eV/Å


No. 3
Below is C15H11F5N2RhS2Si as an isolated structure, with properties calculated with ωB97M-V/def2-TZVPD.

Last column: Löwdin charge in e.
Atoms and positions in Å:
Rh: 0.08018 -0.46010 0.18813  0.5025
S: -1.99561 0.54753 -0.05186  0.6304
C: -3.08314 -0.65387 0.59982  -0.6904
C: -4.44071 -0.66901 0.27435  -0.0516
C: -5.29874 -1.60098 0.83408  -0.1936
C: -6.69617 -1.59178 0.47726  -0.1823
N: -7.80830 -1.56530 0.18685  0.1516
C: -4.79417 -2.54252 1.74931  -0.1948
C: -3.44519 -2.52780 2.06291  -0.0547
C: -2.58534 -1.59615 1.48556  -0.6668
S: -0.87534 -1.58898 1.89581  0.6629
C: -5.66117 -3.52118 2.35751  -0.1836
N: -6.33919 -4.30741 2.85157  0.1508
H: -4.82272 0.05591 -0.43286  0.1168
H: -3.04645 -3.25637 2.75801  0.1175
C: 4.81088 -2.30928 2.56309  -0.1930
Si: 4.90446 -1.05703 1.18382  0.3716
C: 5.95788 0.39079 1.71223  -0.2001
C: 5.63493 -1.88346 -0.32102  -0.1940
C: 3.23310 -0.47049 0.78260  -0.2481
*/

In this arm of the research in the lab we aim to provide insights into description of human neocortical microcircuitry. We have shown before that coordinated population activity (within theta frequency range) in different cortical layers can be related to one another (be synchronized), suggesting that the oscillatory activity is a signature that modulates the activity (excitability) within the layers. We therefore are interested to investigate the functional interconnectivity between layers that allows for such a coordination between layers. To achieve that we are developing a framework for high-throughput functional mapping of single units in human cortical slices in-vitro [and in-vivo].


We hypothesize that classes of neurons in the human cortex can be identified based on: 1) Waveform features of the extracellular spikes 2) The temporal patterns of the spikes, and 3) Their laminar organization; which we call Functional or spiking phenotypes of neurons. We further hypothesize that the long-range functional connectivity between different laminae as well as intralaminar connections can be estimated using single unit activity.


Using planar multi electrode arrays, we are recording simultaneous extracellular potentials from large scale networks (i.e. covering all the cortical layers and across a few cortical columns) with high temporal resolution which allows for extracting single unit activity in a non-invasive manner compared to intracellular recordings. The experimental setup provides us with further opportunity of pharamacological intervention to influence network dynamics. In transgenic animal models we have the potential of targeted stimulation or silencing of candidate neurons (electrical or optogenetic interventions).  The extracted single unit activity in either baseline or stimulated scenarios is analyzed based on waveform features as well as temporal features. The electrodes are then registered on the histological image of the slice to find the laminar location of the identified units. Spike timing data is further analyzed to compute the relationship of units to each other based on information theoretic measures.

Data records, kept here for reference:
(1)
Density functional theory data (ωB97M-V with the def2-TZVPD basis set) for a 4-piece molecular cluster, C26H64BF4N3O3P2 overall at a distorted geometry.

Each line ends with the Löwdin charge.
Geometry (Å):
C -8.37 -0.65 -0.22  -0.0690
B -7.03 -0.61 0.74  -0.5331
O -6.78 -1.82 1.58  -0.0187
P -5.79 0.87 0.83  0.6078
C -5.71 2.33 -0.40  -0.2514
C -4.62 0.93 2.39  -0.3032
C -3.58 2.19 2.36  -0.1006
C -3.42 3.02 3.76  -0.2185
F -3.89 4.43 3.53  -0.0258
F -1.98 3.16 4.21  -0.0249
F -4.14 2.45 4.93  0.0136
C -4.45 -0.15 -0.08  -0.2973
C -4.44 0.00 -1.71  -0.3308
C -3.44 -1.22 -2.27  -0.0876
F -5.75 -0.21 -2.37  -0.1109
P -7.28 1.93 2.03  0.7578
O -8.60 2.54 1.08  -0.3721
O -6.58 3.17 3.02  -0.3758
H -9.16 -1.36 0.32  0.0935
H -8.91 0.38 -0.36  0.0631
H -8.19 -1.13 -1.28  0.0831
H -6.53 -1.43 2.48  0.1028
H -6.11 3.30 0.16  0.0568
H -6.25 2.16 -1.43  0.0812
H -4.56 2.56 -0.60  0.0646
H -5.35 0.89 3.30  0.0737
H -3.98 -0.06 2.41  0.1134
H -2.50 1.74 2.11  0.1376
H -3.78 2.98 1.50  0.1268
H -4.66 -1.30 0.16  0.1133
H -3.37 0.07 0.31  0.1018
H -3.92 1.00 -2.09  0.1447
H -4.01 -2.24 -2.09  0.1001
H -2.46 -1.12 -1.62  0.0917
H -3.23 -0.98 -3.40  0.0815
H -8.29 3.16 0.35  0.0516
H -7.22 3.94 3.15  0.0761
C 2.63 0.54 -2.16  -0.0793
C 2.12 -0.84 -2.57  -0.2716
N 0.72 -0.86 -2.99  -0.1832
C 0.17 -2.22 -3.10  -0.2507
C 0.77 -3.13 -4.16  -0.0913
C 0.35 0.05 -4.07  -0.2499
C 1.09 -0.08 -5.40  -0.0866
H 2.00 0.98 -1.38  0.0595
H 3.64 0.47 -1.77  0.0690
H 2.66 1.23 -3.01  0.0692
H 2.24 -1.49 -1.69  0.1089
H 2.78 -1.24 -3.35  0.0968
H -0.91 -2.16 -3.26  0.0860
H 0.29 -2.71 -2.13  0.1098
H 0.43 -2.86 -5.17  0.0576
H 0.44 -4.16 -3.99  0.0748
H 1.86 -3.14 -4.15  0.0564
H 0.48 1.08 -3.72  0.1025
H -0.73 -0.02 -4.26  0.1071
H 2.17 -0.20 -5.27  0.0698
H 0.93 0.82 -6.00  0.0743
H 0.72 -0.93 -5.98  0.0555
C 1.55 2.57 1.20  -0.0962
C 2.69 2.86 2.18  -0.2663
N 2.86 4.28 2.49  -0.1910
C 4.11 4.57 3.18  -0.2529
C 4.30 3.99 4.58  -0.0944
C 1.68 4.98 3.00  -0.2473
C 1.04 4.44 4.28  -0.0919
H 1.66 3.14 0.28  0.0796
H 1.54 1.50 0.94  0.0637
H 0.57 2.80 1.64  0.0570
H 3.61 2.48 1.71  0.1174
H 2.54 2.26 3.09  0.0965
H 4.25 5.66 3.23  0.1112
H 4.94 4.21 2.56  0.1080
H 3.70 4.52 5.32  0.0549
H 5.35 4.09 4.88  0.0713
H 4.05 2.92 4.63  0.0675
H 0.91 4.99 2.22  0.1020
H 1.92 6.04 3.15  0.1156
H 0.94 3.35 4.27  0.0667
H 0.03 4.86 4.38  0.0663
H 1.60 4.73 5.17  0.0553
C 3.28 -4.80 -2.23  -0.0956
C 4.18 -5.29 -1.10  -0.2646
N 5.59 -4.97 -1.28  -0.1900
C 6.47 -5.68 -0.35  -0.2521
C 6.34 -5.36 1.13  -0.0942
C 5.92 -3.56 -1.49  -0.2471
C 5.49 -2.57 -0.42  -0.0884
H 3.62 -5.18 -3.20  0.0862
H 2.26 -5.17 -2.08  0.0752
H 3.23 -3.71 -2.28  0.0406
H 4.06 -6.38 -1.05  0.1187
H 3.79 -4.90 -0.15  0.0964
H 7.52 -5.52 -0.65  0.1115
H 6.31 -6.76 -0.48  0.1089
H 6.77 -4.39 1.38  0.0546
H 6.87 -6.11 1.72  0.0720
H 5.29 -5.37 1.47  0.0675
H 5.47 -3.24 -2.44  0.1014
H 7.00 -3.45 -1.66  0.1161
H 4.47 -2.74 -0.07  0.0666
H 5.53 -1.55 -0.82  0.0668
H 6.16 -2.59 0.44  0.0546

Computed properties:
- charge = 0


  1. The first critical step is to extract single unit activity from the extracellular recordings. Analysis of data generated by simultaneous recording from many electrodes is a critical step. We are developing a high throughput algorithm to produce reliable single unit activity. In particular, we are investigating the mathematical limits of reliable clustering of putative neurons from the noisy extracellular activity (that we know it has signatures of action potentials but is also formed by other sources). In the same line of research, in collaboration with Prof. Bezdek, we attempt to implement machine learning approaches such as assessing cluster tendency in the neuronal spike data in high dimensional space to the reliability of the clustering algorithm.
  2. A key element of this project is the reliable localization of the recordings (hence the identified units) on slice that registers each unit to a cortical layer. Therefore, we are developing a substitute for histology processing of the slice by using optical coherent tomography (OCT) that will let us avoid further sectioning and damages of the slice. This technique has the potential to be used on-line with recording the fresh tissue.